Job:
Print the lines further below up to the one that holds "0.782", that line included.

Given:
~~~
Version one
# K2Mg2Mo3O12

An optimized crystal structure of K2Mg2Mo3O12 (GGA+U, the Materials Project).

The structure in CIF format:
```
data_K2Mg2Mo3O12
_cell_length_a 9.198
_cell_length_b 7.102
_cell_length_c 20.643
_cell_angle_alpha 71.23
_cell_angle_beta 90.00
_cell_angle_gamma 90.00
_symmetry_space_group_name_H-M 'P 1'
_symmetry_Int_Tables_number 1
loop_
_symmetry_equiv_pos_as_xyz
'x,y,z'
loop_
_atom_site_label
_atom_site_type_symbol
_atom_site_fract_x
_atom_site_fract_y
_atom_site_fract_z
O1 O 0.748 0.158 0.491
O2 O 0.252 0.842 0.509
O3 O 0.045 0.644 0.438
O4 O 0.786 0.984 0.650
O5 O 0.900 0.174 0.868
O6 O 0.339 0.555 0.143
O7 O 0.248 0.842 0.009
O8 O 0.839 0.445 0.357
O9 O 0.202 0.465 0.902
O10 O 0.286 0.016 0.850
O11 O 0.389 0.999 0.111
O12 O 0.309 0.785 0.266
O13 O 0.000 0.177 0.716
O14 O 0.000 0.823 0.284
O15 O 0.691 0.215 0.734
O16 O 0.809 0.215 0.234
O17 O 0.741 0.632 0.457
O18 O 0.500 0.177 0.216
O19 O 0.661 0.445 0.857
O20 O 0.100 0.826 0.132
O21 O 0.321 0.169 0.698
O22 O 0.759 0.632 0.957
O23 O 0.798 0.535 0.098
O24 O 0.752 0.158 0.991
O25 O 0.611 0.001 0.889
O26 O 0.437 0.196 0.961
O27 O 0.214 0.016 0.350
O28 O 0.191 0.785 0.766
O29 O 0.563 0.804 0.039
O30 O 0.111 0.999 0.611
O31 O 0.889 0.001 0.389
O32 O 0.400 0.826 0.632
O33 O 0.937 0.804 0.539
O34 O 0.241 0.368 0.043
O35 O 0.455 0.644 0.938
O36 O 0.679 0.831 0.302
O37 O 0.298 0.465 0.402
O38 O 0.063 0.196 0.461
O39 O 0.821 0.831 0.802
O40 O 0.714 0.984 0.150
O41 O 0.545 0.356 0.062
O42 O 0.179 0.169 0.198
O43 O 0.955 0.356 0.562
O44 O 0.702 0.535 0.598
O45 O 0.161 0.555 0.643
O46 O 0.259 0.368 0.543
O47 O 0.600 0.174 0.368
O48 O 0.500 0.823 0.784
Mo1 Mo 0.160 0.417 0.464
Mo2 Mo 0.173 0.949 0.274
Mo3 Mo 0.340 0.417 0.964
Mo4 Mo 0.227 0.802 0.599
Mo5 Mo 0.327 0.949 0.774
Mo6 Mo 0.773 0.198 0.401
Mo7 Mo 0.673 0.051 0.226
Mo8 Mo 0.273 0.802 0.099
Mo9 Mo 0.727 0.198 0.901
Mo10 Mo 0.840 0.583 0.536
Mo11 Mo 0.660 0.583 0.036
Mo12 Mo 0.827 0.051 0.726
K1 K 0.531 0.199 0.594
K2 K 0.469 0.801 0.406
K3 K 0.031 0.801 0.906
K4 K 0.969 0.199 0.094
K5 K 0.383 0.404 0.287
K6 K 0.117 0.404 0.787
K7 K 0.617 0.596 0.713
K8 K 0.883 0.596 0.213
Mg1 Mg 0.410 0.937 0.938
Mg2 Mg 0.644 0.728 0.865
Mg3 Mg 0.144 0.272 0.635
Mg4 Mg 0.910 0.063 0.562
Mg5 Mg 0.590 0.063 0.062
Mg6 Mg 0.356 0.272 0.135
Mg7 Mg 0.856 0.728 0.365
Mg8 Mg 0.090 0.937 0.438
```

Spin magnetization in Bohr magnetons per cell: 0.00

***

Version two
# K2Mg2Mo3O12

An optimized crystal structure of K2Mg2Mo3O12 (GGA+U, the Materials Project).

The structure in CIF format:
```
data_K2Mg2Mo3O12
_cell_length_a 10.785
_cell_length_b 10.796
_cell_length_c 32.363
_cell_angle_alpha 90.00
_cell_angle_beta 90.00
_cell_angle_gamma 90.00
_symmetry_space_group_name_H-M 'P 1'
_symmetry_Int_Tables_number 1
loop_
_symmetry_equiv_pos_as_xyz
'x,y,z'
loop_
_atom_site_label
_atom_site_type_symbol
_atom_site_fract_x
_atom_site_fract_y
_atom_site_fract_z
O1 O 0.851 0.221 0.978
O2 O 0.569 0.805 0.686
O3 O 0.698 0.104 0.228
O4 O 0.777 0.960 0.823
O5 O 0.019 0.909 0.782
O6 O 0.380 0.821 0.920
O7 O 0.729 0.867 0.393
O8 O 0.198 0.396 0.772
O9 O 0.198 0.291 0.190
O10 O 0.964 0.955 0.423
O11 O 0.878 0.674 0.433
O12 O 0.234 0.942 0.732
O13 O 0.750 0.275 0.497
O14 O 0.464 0.545 0.577
O15 O 0.822 0.483 0.016
O16 O 0.649 0.779 0.478
O17 O 0.963 0.747 0.930
O18 O 0.990 0.787 0.151
O19 O 0.541 0.826 0.330
O20 O 0.285 0.085 0.574
O21 O 0.785 0.415 0.426
O22 O 0.620 0.321 0.580
O23 O 0.037 0.247 0.570
O24 O 0.536 0.045 0.923
O25 O 0.203 0.463 0.339
O26 O 0.271 0.367 0.107
O27 O 0.309 0.697 0.357
O28 O 0.236 0.477 0.529
O29 O 0.526 0.537 0.118
O30 O 0.974 0.463 0.618
O31 O 0.351 0.279 0.022
O32 O 0.686 0.732 0.789
O33 O 0.814 0.268 0.289
O34 O 0.042 0.479 0.411
O35 O 0.433 0.054 0.070
O36 O 0.723 0.040 0.323
O37 O 0.286 0.924 0.311
O38 O 0.191 0.303 0.857
O39 O 0.830 0.237 0.633
O40 O 0.090 0.342 0.996
O41 O 0.931 0.195 0.186
O42 O 0.567 0.554 0.430
O43 O 0.973 0.128 0.499
O44 O 0.122 0.174 0.067
O45 O 0.378 0.826 0.567
O46 O 0.783 0.435 0.102
~~~

Done:
Version one
# K2Mg2Mo3O12

An optimized crystal structure of K2Mg2Mo3O12 (GGA+U, the Materials Project).

The structure in CIF format:
```
data_K2Mg2Mo3O12
_cell_length_a 9.198
_cell_length_b 7.102
_cell_length_c 20.643
_cell_angle_alpha 71.23
_cell_angle_beta 90.00
_cell_angle_gamma 90.00
_symmetry_space_group_name_H-M 'P 1'
_symmetry_Int_Tables_number 1
loop_
_symmetry_equiv_pos_as_xyz
'x,y,z'
loop_
_atom_site_label
_atom_site_type_symbol
_atom_site_fract_x
_atom_site_fract_y
_atom_site_fract_z
O1 O 0.748 0.158 0.491
O2 O 0.252 0.842 0.509
O3 O 0.045 0.644 0.438
O4 O 0.786 0.984 0.650
O5 O 0.900 0.174 0.868
O6 O 0.339 0.555 0.143
O7 O 0.248 0.842 0.009
O8 O 0.839 0.445 0.357
O9 O 0.202 0.465 0.902
O10 O 0.286 0.016 0.850
O11 O 0.389 0.999 0.111
O12 O 0.309 0.785 0.266
O13 O 0.000 0.177 0.716
O14 O 0.000 0.823 0.284
O15 O 0.691 0.215 0.734
O16 O 0.809 0.215 0.234
O17 O 0.741 0.632 0.457
O18 O 0.500 0.177 0.216
O19 O 0.661 0.445 0.857
O20 O 0.100 0.826 0.132
O21 O 0.321 0.169 0.698
O22 O 0.759 0.632 0.957
O23 O 0.798 0.535 0.098
O24 O 0.752 0.158 0.991
O25 O 0.611 0.001 0.889
O26 O 0.437 0.196 0.961
O27 O 0.214 0.016 0.350
O28 O 0.191 0.785 0.766
O29 O 0.563 0.804 0.039
O30 O 0.111 0.999 0.611
O31 O 0.889 0.001 0.389
O32 O 0.400 0.826 0.632
O33 O 0.937 0.804 0.539
O34 O 0.241 0.368 0.043
O35 O 0.455 0.644 0.938
O36 O 0.679 0.831 0.302
O37 O 0.298 0.465 0.402
O38 O 0.063 0.196 0.461
O39 O 0.821 0.831 0.802
O40 O 0.714 0.984 0.150
O41 O 0.545 0.356 0.062
O42 O 0.179 0.169 0.198
O43 O 0.955 0.356 0.562
O44 O 0.702 0.535 0.598
O45 O 0.161 0.555 0.643
O46 O 0.259 0.368 0.543
O47 O 0.600 0.174 0.368
O48 O 0.500 0.823 0.784
Mo1 Mo 0.160 0.417 0.464
Mo2 Mo 0.173 0.949 0.274
Mo3 Mo 0.340 0.417 0.964
Mo4 Mo 0.227 0.802 0.599
Mo5 Mo 0.327 0.949 0.774
Mo6 Mo 0.773 0.198 0.401
Mo7 Mo 0.673 0.051 0.226
Mo8 Mo 0.273 0.802 0.099
Mo9 Mo 0.727 0.198 0.901
Mo10 Mo 0.840 0.583 0.536
Mo11 Mo 0.660 0.583 0.036
Mo12 Mo 0.827 0.051 0.726
K1 K 0.531 0.199 0.594
K2 K 0.469 0.801 0.406
K3 K 0.031 0.801 0.906
K4 K 0.969 0.199 0.094
K5 K 0.383 0.404 0.287
K6 K 0.117 0.404 0.787
K7 K 0.617 0.596 0.713
K8 K 0.883 0.596 0.213
Mg1 Mg 0.410 0.937 0.938
Mg2 Mg 0.644 0.728 0.865
Mg3 Mg 0.144 0.272 0.635
Mg4 Mg 0.910 0.063 0.562
Mg5 Mg 0.590 0.063 0.062
Mg6 Mg 0.356 0.272 0.135
Mg7 Mg 0.856 0.728 0.365
Mg8 Mg 0.090 0.937 0.438
```

Spin magnetization in Bohr magnetons per cell: 0.00

***

Version two
# K2Mg2Mo3O12

An optimized crystal structure of K2Mg2Mo3O12 (GGA+U, the Materials Project).

The structure in CIF format:
```
data_K2Mg2Mo3O12
_cell_length_a 10.785
_cell_length_b 10.796
_cell_length_c 32.363
_cell_angle_alpha 90.00
_cell_angle_beta 90.00
_cell_angle_gamma 90.00
_symmetry_space_group_name_H-M 'P 1'
_symmetry_Int_Tables_number 1
loop_
_symmetry_equiv_pos_as_xyz
'x,y,z'
loop_
_atom_site_label
_atom_site_type_symbol
_atom_site_fract_x
_atom_site_fract_y
_atom_site_fract_z
O1 O 0.851 0.221 0.978
O2 O 0.569 0.805 0.686
O3 O 0.698 0.104 0.228
O4 O 0.777 0.960 0.823
O5 O 0.019 0.909 0.782